**Wanted**
Next, repeat the whole of the rows underneath with every line break kept.
**File**
********
Entry 1:
# SrSmAg | Alexandria via LeMat-Bulk | PBE-GGA | relaxed
# - formation enthalpy at 0 K (meV per atom) = 68
data_SrSmAg
_cell_length_a 5.1769
_cell_length_b 5.1769
_cell_length_c 4.4020
_cell_angle_alpha 90.00
_cell_angle_beta 90.00
_cell_angle_gamma 120.00
_symmetry_space_group_name_H-M 'P 3 m 1'
_symmetry_Int_Tables_number 156
_symmetry_space_group_name_Hall 'P 3 -2"'
loop_
_atom_site_label
_atom_site_fract_x
_atom_site_fract_y
_atom_site_fract_z
Sr1 0.0000 0.0000 0.0000
Sm1 0.3333 0.6667 0.5115
Ag1 0.6667 0.3333 0.4225

Entry 2:
# Mg2ScCd2 | Alexandria via LeMat-Bulk | PBE-GGA | relaxed
# - formation enthalpy at 0 K (meV per atom) = -64
data_Mg2ScCd2
_cell_length_a 8.386
_cell_length_b 8.386
_cell_length_c 3.109
_cell_angle_alpha 90.00
_cell_angle_beta 90.00
_cell_angle_gamma 90.00
_symmetry_space_group_name_H-M 'P 4/m b m'
_symmetry_Int_Tables_number 127
_symmetry_space_group_name_Hall '-P 4 2ab'
loop_
_atom_site_label
_atom_site_fract_x
_atom_site_fract_y
_atom_site_fract_z
Mg1 0.126 0.374 0.000
Sc1 0.000 0.000 0.000
Cd1 0.174 0.674 0.500

Entry 3:
# SrTl5 | Alexandria via LeMat-Bulk | PBE-GGA | relaxed
# - formation enthalpy at 0 K (meV per atom) = -131
data_SrTl5
_cell_length_a 4.223
_cell_length_b 4.223
_cell_length_c 10.773
_cell_angle_alpha 90.00
_cell_angle_beta 90.00
_cell_angle_gamma 90.00
_symmetry_space_group_name_H-M 'P 4/m m m'
_symmetry_Int_Tables_number 123
_symmetry_space_group_name_Hall '-P 4 2'
loop_
_atom_site_label
_atom_site_fract_x
_atom_site_fract_y
_atom_site_fract_z
Sr1 0.000 0.000 0.000
Tl1 0.000 0.000 0.340
Tl2 0.500 0.500 0.184
Tl3 0.500 0.500 0.500

Entry 4:
# Y7Sb3C2 | Alexandria via LeMat-Bulk | PBE-GGA | relaxed
# - uncorrected formation energy (meV/atom) = -701
data_Y7Sb3C2
_cell_length_a 4.881
_cell_length_b 24.829
_cell_length_c 4.798
_cell_angle_alpha 90.00
_cell_angle_beta 90.00
_cell_angle_gamma 90.00
_symmetry_space_group_name_H-M 'C m m m'
_symmetry_Int_Tables_number 65
_symmetry_space_group_name_Hall '-C 2 2'
loop_
_atom_site_label
_atom_site_fract_x
_atom_site_fract_y
_atom_site_fract_z
Y1 0.000 0.000 0.000
Y2 0.000 0.097 0.500
Y3 0.000 0.197 0.000
Y4 0.000 0.403 0.000
Sb1 0.000 0.312 0.500
Sb2 0.000 0.500 0.500
C1 0.000 0.100 0.000

Entry 5:
# Mg2ZnSb | Alexandria via LeMat-Bulk | PBE-GGA | relaxed
# - uncorrected formation energy (meV/atom) = 30
data_Mg2ZnSb
_cell_length_a 4.571
_cell_length_b 4.571
_cell_length_c 18.560
_cell_angle_alpha 90.00
_cell_angle_beta 90.00
_cell_angle_gamma 90.00
_symmetry_space_group_name_H-M 'I -4 2 d'
_symmetry_Int_Tables_number 122
_symmetry_space_group_name_Hall 'I -4 2bw'
loop_
_atom_site_label
_atom_site_fract_x
_atom_site_fract_y
_atom_site_fract_z
Mg1 0.219 0.250 0.125
Zn1 0.000 0.000 0.000
Sb1 0.000 0.000 0.500

Entry 6:
# LiSiNi4 | Alexandria via LeMat-Bulk | PBE-GGA | relaxed
# - uncorrected formation energy (meV/atom) = -262
data_LiSiNi4
_cell_length_a 9.667
_cell_length_b 2.645
_cell_length_c 5.276
_cell_angle_alpha 90.00
_cell_angle_beta 105.85
_cell_angle_gamma 90.00
_symmetry_space_group_name_H-M 'C 1 2/m 1'
_symmetry_Int_Tables_number 12
_symmetry_space_group_name_Hall '-C 2y'
loop_
_atom_site_label
_atom_site_fract_x
_atom_site_fract_y
_atom_site_fract_z
Li1 0.000 0.000 0.000
Si1 0.000 0.000 0.500
Ni1 0.156 0.500 0.337
Ni2 0.163 0.500 0.822

Entry 7:
# NdPu2HfAs4 | Alexandria via LeMat-Bulk | PBE-GGA | relaxed
# - formation enthalpy at 0 K (meV per atom) = -1139
data_NdPu2HfAs4
_cell_length_a 7.050
_cell_length_b 4.087
_cell_length_c 7.118
_cell_angle_alpha 90.00
_cell_angle_beta 109.33
_cell_angle_gamma 90.00
_symmetry_space_group_name_H-M 'P 1 2/m 1'
_symmetry_Int_Tables_number 10
_symmetry_space_group_name_Hall '-P 2y'
loop_
_atom_site_label
_atom_site_fract_x
_atom_site_fract_y
_atom_site_fract_z
Nd1 0.000 0.000 0.000
Pu1 0.500 0.000 0.500
Pu2 0.500 0.500 0.000
Hf1 0.000 0.500 0.500
As1 0.239 0.000 0.732
As2 0.250 0.500 0.266

Entry 8:
# Be2CrPt | Alexandria via LeMat-Bulk | PBE-GGA | relaxed
********
**Written answer**
Entry 1:
# SrSmAg | Alexandria via LeMat-Bulk | PBE-GGA | relaxed
# - formation enthalpy at 0 K (meV per atom) = 68
data_SrSmAg
_cell_length_a 5.1769
_cell_length_b 5.1769
_cell_length_c 4.4020
_cell_angle_alpha 90.00
_cell_angle_beta 90.00
_cell_angle_gamma 120.00
_symmetry_space_group_name_H-M 'P 3 m 1'
_symmetry_Int_Tables_number 156
_symmetry_space_group_name_Hall 'P 3 -2"'
loop_
_atom_site_label
_atom_site_fract_x
_atom_site_fract_y
_atom_site_fract_z
Sr1 0.0000 0.0000 0.0000
Sm1 0.3333 0.6667 0.5115
Ag1 0.6667 0.3333 0.4225

Entry 2:
# Mg2ScCd2 | Alexandria via LeMat-Bulk | PBE-GGA | relaxed
# - formation enthalpy at 0 K (meV per atom) = -64
data_Mg2ScCd2
_cell_length_a 8.386
_cell_length_b 8.386
_cell_length_c 3.109
_cell_angle_alpha 90.00
_cell_angle_beta 90.00
_cell_angle_gamma 90.00
_symmetry_space_group_name_H-M 'P 4/m b m'
_symmetry_Int_Tables_number 127
_symmetry_space_group_name_Hall '-P 4 2ab'
loop_
_atom_site_label
_atom_site_fract_x
_atom_site_fract_y
_atom_site_fract_z
Mg1 0.126 0.374 0.000
Sc1 0.000 0.000 0.000
Cd1 0.174 0.674 0.500

Entry 3:
# SrTl5 | Alexandria via LeMat-Bulk | PBE-GGA | relaxed
# - formation enthalpy at 0 K (meV per atom) = -131
data_SrTl5
_cell_length_a 4.223
_cell_length_b 4.223
_cell_length_c 10.773
_cell_angle_alpha 90.00
_cell_angle_beta 90.00
_cell_angle_gamma 90.00
_symmetry_space_group_name_H-M 'P 4/m m m'
_symmetry_Int_Tables_number 123
_symmetry_space_group_name_Hall '-P 4 2'
loop_
_atom_site_label
_atom_site_fract_x
_atom_site_fract_y
_atom_site_fract_z
Sr1 0.000 0.000 0.000
Tl1 0.000 0.000 0.340
Tl2 0.500 0.500 0.184
Tl3 0.500 0.500 0.500

Entry 4:
# Y7Sb3C2 | Alexandria via LeMat-Bulk | PBE-GGA | relaxed
# - uncorrected formation energy (meV/atom) = -701
data_Y7Sb3C2
_cell_length_a 4.881
_cell_length_b 24.829
_cell_length_c 4.798
_cell_angle_alpha 90.00
_cell_angle_beta 90.00
_cell_angle_gamma 90.00
_symmetry_space_group_name_H-M 'C m m m'
_symmetry_Int_Tables_number 65
_symmetry_space_group_name_Hall '-C 2 2'
loop_
_atom_site_label
_atom_site_fract_x
_atom_site_fract_y
_atom_site_fract_z
Y1 0.000 0.000 0.000
Y2 0.000 0.097 0.500
Y3 0.000 0.197 0.000
Y4 0.000 0.403 0.000
Sb1 0.000 0.312 0.500
Sb2 0.000 0.500 0.500
C1 0.000 0.100 0.000

Entry 5:
# Mg2ZnSb | Alexandria via LeMat-Bulk | PBE-GGA | relaxed
# - uncorrected formation energy (meV/atom) = 30
data_Mg2ZnSb
_cell_length_a 4.571
_cell_length_b 4.571
_cell_length_c 18.560
_cell_angle_alpha 90.00
_cell_angle_beta 90.00
_cell_angle_gamma 90.00
_symmetry_space_group_name_H-M 'I -4 2 d'
_symmetry_Int_Tables_number 122
_symmetry_space_group_name_Hall 'I -4 2bw'
loop_
_atom_site_label
_atom_site_fract_x
_atom_site_fract_y
_atom_site_fract_z
Mg1 0.219 0.250 0.125
Zn1 0.000 0.000 0.000
Sb1 0.000 0.000 0.500

Entry 6:
# LiSiNi4 | Alexandria via LeMat-Bulk | PBE-GGA | relaxed
# - uncorrected formation energy (meV/atom) = -262
data_LiSiNi4
_cell_length_a 9.667
_cell_length_b 2.645
_cell_length_c 5.276
_cell_angle_alpha 90.00
_cell_angle_beta 105.85
_cell_angle_gamma 90.00
_symmetry_space_group_name_H-M 'C 1 2/m 1'
_symmetry_Int_Tables_number 12
_symmetry_space_group_name_Hall '-C 2y'
loop_
_atom_site_label
_atom_site_fract_x
_atom_site_fract_y
_atom_site_fract_z
Li1 0.000 0.000 0.000
Si1 0.000 0.000 0.500
Ni1 0.156 0.500 0.337
Ni2 0.163 0.500 0.822

Entry 7:
# NdPu2HfAs4 | Alexandria via LeMat-Bulk | PBE-GGA | relaxed
# - formation enthalpy at 0 K (meV per atom) = -1139
data_NdPu2HfAs4
_cell_length_a 7.050
_cell_length_b 4.087
_cell_length_c 7.118
_cell_angle_alpha 90.00
_cell_angle_beta 109.33
_cell_angle_gamma 90.00
_symmetry_space_group_name_H-M 'P 1 2/m 1'
_symmetry_Int_Tables_number 10
_symmetry_space_group_name_Hall '-P 2y'
loop_
_atom_site_label
_atom_site_fract_x
_atom_site_fract_y
_atom_site_fract_z
Nd1 0.000 0.000 0.000
Pu1 0.500 0.000 0.500
Pu2 0.500 0.500 0.000
Hf1 0.000 0.500 0.500
As1 0.239 0.000 0.732
As2 0.250 0.500 0.266

Entry 8:
# Be2CrPt | Alexandria via LeMat-Bulk | PBE-GGA | relaxed